Othello Act 2 Study Guide

How does the setting change from Act 1 to the Act 2? What are some possible symbolic meanings of this change? The setting changed from normal to stormy weather. This indicates the chaotic sense of the play and it foreshadows all the bad things coming up.
Although Othello and Desdemona’s reunion is joyful and passionate, the language of the scene hints at other emotions in Othello. Which lines could foreshadow trouble? “If it were now to die, twere now to be most happy” “My soul hath her content so absolute that not another comfort like this succeeds an unknown fate”
What emotion does Iago play on to get Roderigo to provoke Cassio? What weakness of Cassio’s does Iago take advantage of? What do these actions reveal about Iago and his methods? He plays on Roderigo’s anger and Cassio’s low tolerance of alcohol. They reveal that Iago is malicious and malevolent and his methods are manipulative.
In the order of their appearance, list the characters who arrive from Venice in Scene 1. 1. Cassio 2. Desdemona 3. Iago 4. Emilia 5. Othello
What becomes of the Turkish threat? They all died in the stormed. They drowned and were defeated in battle.
What trouble does Iago stir up to disturb the peace of the island? Iago manipulates Roderigo and convinces him to fight Cassio.
How does Othello react to the disturbance? Othello fires Cassio
What advice does Iago give to the remorseful Cassio? Iago tells Cassio to speak to Desdemona, maybe he can get her to vouch for him with Othello to get his job back.
“With as little a web as this will I ensnare a great fly as Cassio” (Scene 1, lines 166-167) What does this quote mean? Who said the quote? To whom was it addressed? Iago is painting himself as a spider. Cassio is a fly and Iago is gonna manipulate and “trap” him. It means that Cassio is gonna be tricked by Iago and used. Iago is saying this quote and it is addressed to Cassio.
“He’ll be as full of quarrel and offense / as my young mistress’ dog” (Scene 3, lines 46-47) What does this quote mean? Who said the quote? To whom was it addressed? This quote is comparing Cassio to a dog. He is going to get drunk and be argumentative, ready to fight, and take offense to everything. When Roderigo confronts him later on, he is gonna fight him like angry dog. Iago is saying this to the audience.
“So will I turn her virtue into pitch / and out of her own goodness make the rest / that shall enmesh them all” (Scene 3, lines 351-353) What does this quote mean? Who said the quote? To whom was it addressed? Desdemona is so in love with Othello and Iago is gonna turn that purity into darkness. He is going to ruin her credit with Othello by spreading rumors of her cheating. Iago is saying this and it is addressed to the audience.
Name 3 traits about Cassio He is a ladies man, he is loyal to Othello, he has a weakness for alcohol
Iago urges Roderigo to provoke Cassio by telling him that Desdemona is now in love with Cassio
Name a pair of foils Iago and Cassio (Iago – manipulative, hates women // Cassio – loves women, manipulated)
In Scene 3, Othello becomes angry with Cassio because while supervising the watch, Cassio got into a fight
What step in his plan to entrap the main characters does Iago take at the end of Act II?
Unrelated to this page: data records:
(1)
Molecular formula: C25H20BrGdN7O2S
Method: DFT, ωB97M-V/def2-TZVPD

Results
- LUMO level (alpha / beta): -3.1071 / -5.0065 eV
- Expectation value of S²: 16.06
- Relative energy (zero: lowest compared OMol25 entry of this formula, charge and spin): 76.55 kcal per mole
- 2S+1: 8
- Charge: +1
- Energy: -5236.2028 Eh

Cartesian coordinates (Å):
Gd -1.465 0.139 -1.578
N -2.676 -3.139 0.103
C -1.852 -2.363 0.811
N -1.908 -2.508 2.152
C -1.118 -1.766 2.902
N -1.035 -2.008 4.214
N -0.403 -0.766 2.358
C -0.311 -0.663 0.931
N -1.029 -1.553 0.131
C 0.934 1.054 0.424
C 1.465 2.020 1.464
C 1.279 3.435 1.029
C 1.256 3.684 -0.282
C 1.287 2.590 -1.252
N 1.148 1.344 -0.977
H -3.282 -3.775 0.588
H -2.625 -3.142 -0.901
H -1.644 -2.709 4.599
H -0.561 -1.372 4.830
H 2.546 1.844 1.561
H 1.230 4.222 1.773
H 1.198 4.693 -0.667
H 1.378 2.842 -2.306
C 2.360 -1.220 0.613
C 1.207 -0.338 1.005
C 0.897 -0.085 2.531
C 0.747 1.471 2.723
C -0.691 1.911 2.619
C -1.372 2.673 3.551
C -2.676 3.071 3.267
C -3.286 2.729 2.075
C -2.611 1.969 1.112
S -3.416 1.574 -0.404
C -1.309 1.577 1.416
N -0.544 0.787 0.506
H 3.236 -0.997 1.224
H 2.628 -1.064 -0.432
H 2.105 -2.271 0.753
H 1.559 -0.555 3.257
H 1.202 1.805 3.654
H -0.893 2.956 4.480
H -3.221 3.661 3.992
H -4.296 3.049 1.855
Br -0.965 -1.683 -6.674
C 0.483 -1.863 -5.472
C 1.716 -2.320 -5.910
C 2.758 -2.442 -5.007
C 2.573 -2.127 -3.668
C 1.340 -1.672 -3.236
C 0.293 -1.531 -4.144
C -0.963 -0.911 -3.598
O -1.024 0.360 -3.616
O -1.779 -1.580 -2.915
H 1.854 -2.577 -6.952
H 3.723 -2.788 -5.351
H 3.391 -2.238 -2.968
H 1.166 -1.433 -2.193

=====

(2)
Molecular formula: C18H24N7O7RuS2
Method: DFT, ωB97M-V/def2-TZVPD

Results
- LUMO level (alpha / beta): -2.6096 / -2.3309 eV
- Expectation value of S²: 1.09
- Relative energy (zero: lowest compared OMol25 entry of this formula, charge and spin): 92.99 kcal per mole
- 2S+1: 2
- Energy: -2501.4553 Eh

Cartesian coordinates (Å):
Ru 0.067 -1.138 1.125
O 2.237 -0.661 2.831
C 1.894 -1.117 4.115
C 0.821 -2.210 4.047
N -0.353 -1.787 3.267
C -1.306 -2.893 3.178
C -2.490 -2.590 2.156
O -3.471 -3.301 2.255
O -2.268 -1.658 1.352
C -0.989 -0.614 3.876
C -0.420 0.725 3.287
O -0.361 1.705 3.996
O -0.069 0.647 2.067
H 2.763 -1.342 2.366
H 1.533 -0.243 4.664
H 2.773 -1.510 4.642
H 0.525 -2.477 5.072
H 1.244 -3.096 3.556
H -1.754 -3.126 4.153
H -0.802 -3.789 2.799
H -0.886 -0.602 4.967
H -2.052 -0.613 3.624
N -2.487 6.613 -3.229
C -2.004 5.363 -2.949
C -1.209 5.151 -1.815
C -0.672 3.904 -1.574
C -0.920 2.879 -2.465
C -1.701 3.054 -3.587
C -2.241 4.302 -3.832
S -0.124 1.218 -2.086
O -0.068 0.553 -3.377
O 1.206 1.759 -1.688
N -0.066 -0.510 -0.762
C -0.456 -1.673 -1.186
N -0.332 -2.673 -0.203
C -0.770 -3.885 -0.457
C -1.270 -4.221 -1.708
C -1.316 -3.195 -2.653
N -0.932 -1.971 -2.401
H -2.478 7.291 -2.486
H -3.247 6.687 -3.883
H -1.028 5.969 -1.133
H -0.058 3.717 -0.708
H -1.862 2.224 -4.257
H -2.845 4.473 -4.711
H -0.711 -4.621 0.339
H -1.603 -5.218 -1.933
H -1.700 -3.368 -3.651
C 3.658 0.225 -2.627
What is the outcome of the battle with the Turks? A huge storm strikes at sea, destroying much of the Turkish fleet. The Turks are forced to give up their attack on Cyprus, and the Venetian ships return in triumph
Explain the incident that led to Cassio’s dismissal. Iago gets Cassio drunk and then has Roderigo pick a fight with him. As the enraged and drunken Cassio attempts to attack Roderigo, Montano steps in to stop him. Cassio fights Montano, and gravely wounds him. Othello arrives to see about the commotion, and finding Cassio at fault, dismisses him from his position
What report does Iago give to Othello and the others about the incident? What does he say to Cassio privately? To Othello and the others, Iago pretends not to understand how the whole fight came about, but he defends Cassio, saying that Cassio surely received from “him that fled” (Roderigo) some “strange indignity, / Which patience could not pass.” To Cassio, he says that the incident is not serious. He reassures Cassio that Othello is only angry, and will soon forgive him
How do Iago’s words mislead everyone? Iago misleads everyone by pretending to be innocent of how the fight began and by pretending to be sympathetic to Cassio, when in actual fact, Iago was the one responsible for it all
Cassio’s lines “Reputation, reputation, reputation! O, I have lost my reputation!” are among the most famous in the play. Evaluate Cassio’s and Iago’s stated opinions about reputation. Do you agree with Iago or with Cassio? Cassio views reputation, or honor, as a person’s most valuable possession. Without honor, he is nothing more than a beast. Iago, on the other hand, claims that reputa- tion is “an idle and most false imposition, oft got without merit and lost without deserving” (II, iii, 268-270). Responses will vary. Students should note that Iago is quite right about reputation being “oft got without merit.” This is true of Iago him- self